Given.
1.
Diffraction record for CeMnSi2Pd. The powder diffraction line list is calculated, not measured: it uses a crystal structure in the Materials Project, relaxed with GGA-PBE and CuKα.

Structural model:
a b c (Å): 4.100 4.100 9.916
angles (deg): 90.00 90.00 90.00
Space group I-4m2 (No. 119)
Asymmetric unit:
Ce 0.000 0.000 0.000 [2 per cell]
Mn 0.000 0.500 0.250 [2 per cell]
Si 0.000 0.000 0.375 [4 per cell]
Pd 0.000 0.500 0.750 [2 per cell]

Most intense lines, 2θ = 10–80°, low angle first:
- d = 3.789 Å, 23.48°, intensity 39
- d = 2.573 Å, 34.87°, intensity 41
- d = 2.503 Å, 35.88°, intensity 100
- d = 2.479 Å, 36.24°, intensity 16
- d = 2.050 Å, 44.18°, intensity 39
- d = 1.785 Å, 51.16°, intensity 14
- d = 1.603 Å, 57.47°, intensity 19
- d = 1.580 Å, 58.41°, intensity 16
- d = 1.436 Å, 64.95°, intensity 17
- d = 1.254 Å, 75.84°, intensity 21

2.
Diffraction record for CeMn2Si2. The powder diffraction line list is calculated, not measured: it uses a crystal structure in the Materials Project, relaxed with GGA-PBE and CuKα.

Structural model:
a b c (Å): 3.942 3.942 10.405
angles (deg): 90.00 90.00 90.00
Space group I4/mmm (No. 139)
Asymmetric unit:
Ce 0.000 0.000 0.000 [2 per cell]
Mn 0.000 0.500 0.250 [4 per cell]
Si 0.000 0.000 0.378 [4 per cell]

Most intense lines, 2θ = 10–80°, low angle first:
- d = 3.687 Å, 24.14°, intensity 42
- d = 2.603 Å, 34.45°, intensity 75
- d = 2.457 Å, 36.57°, intensity 100
- d = 1.971 Å, 46.05°, intensity 38
- d = 1.840 Å, 49.53°, intensity 22
- d = 1.571 Å, 58.76°, intensity 38
- d = 1.472 Å, 63.14°, intensity 18
- d = 1.394 Å, 67.16°, intensity 12
- d = 1.345 Å, 69.93°, intensity 16

What to do.
Write out the lines earlier on up to the one that holds "(Å): 3.942", that line included.

Solution.
1.
Diffraction record for CeMnSi2Pd. The powder diffraction line list is calculated, not measured: it uses a crystal structure in the Materials Project, relaxed with GGA-PBE and CuKα.

Structural model:
a b c (Å): 4.100 4.100 9.916
angles (deg): 90.00 90.00 90.00
Space group I-4m2 (No. 119)
Asymmetric unit:
Ce 0.000 0.000 0.000 [2 per cell]
Mn 0.000 0.500 0.250 [2 per cell]
Si 0.000 0.000 0.375 [4 per cell]
Pd 0.000 0.500 0.750 [2 per cell]

Most intense lines, 2θ = 10–80°, low angle first:
- d = 3.789 Å, 23.48°, intensity 39
- d = 2.573 Å, 34.87°, intensity 41
- d = 2.503 Å, 35.88°, intensity 100
- d = 2.479 Å, 36.24°, intensity 16
- d = 2.050 Å, 44.18°, intensity 39
- d = 1.785 Å, 51.16°, intensity 14
- d = 1.603 Å, 57.47°, intensity 19
- d = 1.580 Å, 58.41°, intensity 16
- d = 1.436 Å, 64.95°, intensity 17
- d = 1.254 Å, 75.84°, intensity 21

2.
Diffraction record for CeMn2Si2. The powder diffraction line list is calculated, not measured: it uses a crystal structure in the Materials Project, relaxed with GGA-PBE and CuKα.

Structural model:
a b c (Å): 3.942 3.942 10.405